About Flying Machines

About Flying Machines

What are Flying Machines?

A flying machine can be thought of as any device meant to fly. A distinction may be made between mechanically-powered flying machines, human-powered flying machines, lighter-than-air flying machines, and gliders. The idea of a flying machine that could carry a person has likely captivated humanity for many thousands of years, and there are examples of such devices in myth and practice spanning two millennia.

Perhaps the most well-known early account of a flying machine can be seen in the Greek myth of Icarus and Daedalus. With large wings attached to their arms, the pair were able to soar high above the firmament, flapping and gliding like birds — until, of course, Icarus passed too close to the sun and the wax binding his wings melted. Such myths exist in many different cultures, spanning back more than two-thousand years.

In China, the first record of a human flight was in the middle of the 6th century. This flying machine consisted of a kite — well-known in China at the time — with a space for a passenger. These manned kites are referenced many times in Chinese history, often as a method of spying on enemies during times of war. In the 13th century Marco Polo reported seeing these manned kites during his travels in China.

Ornithopters are flying machines which fly by imitating the flapping wings of a bird. The wings of Daedalus are an early example of an ornithopter. In the 15th century, Leonardo da Vinci also drew up plans for an ornithopter, using a system of pulleys and gears to flap two enormous wings and steer. At the beginning of the 18th century, Emanuel Swedenborg came up with his own ornithopter design, published as Machine to Fly in the Air. Although Swedenborg realized his design would not actually be capable of flight, he felt it was important to begin research into what he felt would eventually be possible — elevating man into the realm of the birds.

By the end of the 19th century there were a number of working ornithopter designs, though none that flew for extended periods of time. Some ran on gunpowder, others on steam, and later the internal combustion engine. Ultimately, the world went with the fixed-wing flying machine over the bird-like ornithopters, and development more-or-less ceased. There remains a devoted group of enthusiasts who continue to work on movable-winged flying machines, and there have even been relatively successful human-powered ornithopters in the past few years.

**These crystal structures were left in the article by mistake:**
-- begin --
Computed X-ray powder pattern of Mn4O7F for Cu Kα (weighted mean of Kα1 and Kα2), from the PBE+U geometry in Alexandria.

Crystal structure
Cell lengths 4.969, 8.955, 5.483 Å; angles 90.00, 90.16, 90.00 degrees
Fractional positions:
Mn 0.000 0.115 0.000
Mn 0.000 0.376 0.458
Mn 0.000 0.624 0.958
Mn 0.000 0.885 0.500
Mn 0.485 0.377 0.773
Mn 0.485 0.623 0.273
Mn 0.498 0.125 0.277
Mn 0.498 0.875 0.777
O 0.162 0.486 0.728
O 0.162 0.514 0.228
O 0.174 0.005 0.247
O 0.174 0.995 0.747
O 0.320 0.238 0.022
O 0.320 0.762 0.522
O 0.323 0.255 0.516
O 0.323 0.745 0.016
O 0.664 0.488 0.512
O 0.664 0.512 0.012
O 0.671 0.003 0.027
O 0.671 0.997 0.527
O 0.823 0.237 0.237
O 0.823 0.763 0.737
F 0.827 0.250 0.754
F 0.827 0.750 0.254

Principal peaks in the range 2θ = 5–70°, by intensity:
2θ/deg	I (rel.)	(hkl)
31.46	100	1 2 -1
25.69	59	0 2 1
56.18	38	1 4 2
55.23	24	2 4 0
37.47	22	1 0 -2
44.89	19	2 2 1
-- stop --

Gliders are another simple flying machine, which have seen a fair amount of success throughout history. In the 9th century, Abbas Ibn Firnas made the first successful parachute jump, using an artificial wing. Twenty-five years later, he constructed a glider and by all accounts its first flight was largely successful — though he did sustain injuries. At the beginning of the 11th century, an English monk named Eilmer of Malmesbury, replicated the mythical wings of Daedalus and flew more than 65 feet (20 m), before crashing and injuring himself. In the 17th century in Turkey, Ahmet Celebi is said to have made a successful glide using artificial wings, soaring over the Bosphorus (or Istanbul Strait).

Ahmnet Celebi's brother, Lagari Hasan Celebi, is said to have created a different sort of flying machine. Hasan is often credited with creating the first artificially powered flying machine, using a top filled with gunpowder to propel himself into the air — essentially strapping himself to a rocket and launching it. With wings attached to his arms, he then is said to have glided in for a softer landing.

Lighter-than-air flying machines began appearing near the end of the 18th century. The first successful hot air balloon trip occurred in 1783, and many soon followed. Building on the success of the hot air balloon, dirigibles emerged as the dominant form of flying machine by the mid 1850s. Dirigibles remained widely popular until the Hindenburg accident and other notable disasters, at which point they were phased out in favor of fixed-wing aircraft.

In the modern world, flying machines include fixed-wing aircraft, such as the commercial airplanes used as the most popular form of long-distance transportation, rotary-wing aircraft, such as helicopters, and rockets such as the space shuttle. Hot air balloons also remain popular in limited contexts, as do large gliders, personal hang gliders, and blimps.